# Work order
Next, set down all of the rows further below exactly.

# Listing
~~~
# 1
## Li2MnSiO4 (PBE+U)

Data for a relaxed Li2MnSiO4 crystal.

Its corrected total energy (MP2020 scheme) is -7.45 eV per atom. Its total energy is -6.90 eV per atom. The value obtained for the piezoelectric modulus e_max is 0.2 C/m². The calculation puts the energy above the most stable polymorph in this dataset at 1.10 kJ/mol of atoms. The energy of formation comes out at -2.679 eV/atom.

Unit cell a=5.0745 b=6.3605 c=11.0576 alpha=90.00 beta=90.00 gamma=90.00
Closest atoms and distances in Å follow each position.
Fractional coordinates of all 32 atoms:
Li: 0.7055 0.8703 0.5950  4 O 1.92-2.06
Li: 0.1963 0.1171 0.6737  4 O 1.98-2.09
Li: 0.6963 0.6171 0.8263  4 O 1.98-2.09
Li: 0.2055 0.3703 0.9050  4 O 1.92-2.06
Li: 0.7945 0.8703 0.0950  4 O 1.92-2.06
Li: 0.3037 0.1171 0.1737  4 O 1.98-2.09
Li: 0.8037 0.6171 0.3263  4 O 1.98-2.09
Li: 0.2945 0.3703 0.4050  4 O 1.92-2.06
Mn: 0.7008 0.3626 0.5864  4 O 2.06-2.13
Mn: 0.2008 0.8626 0.9136  4 O 2.06-2.13
Mn: 0.7992 0.3626 0.0864  4 O 2.06-2.13
Mn: 0.2992 0.8626 0.4136  4 O 2.06-2.13
Si: 0.1903 0.6182 0.6645  4 O 1.65-1.66
Si: 0.6903 0.1182 0.8355  4 O 1.65-1.66
Si: 0.3097 0.6182 0.1645  4 O 1.65-1.66
Si: 0.8097 0.1182 0.3355  4 O 1.65-1.66
O: 0.3019 0.8346 0.5988  1 Si 1.66
O: 0.2840 0.4038 0.5901  1 Si 1.66
O: 0.8647 0.6247 0.6652  1 Si 1.65
O: 0.8032 0.1108 0.6950  1 Si 1.66
O: 0.3032 0.6108 0.8050  1 Si 1.66
O: 0.3647 0.1247 0.8348  1 Si 1.65
O: 0.7840 0.9038 0.9099  1 Si 1.66
O: 0.8019 0.3346 0.9012  1 Si 1.66
O: 0.1981 0.8346 0.0988  1 Si 1.66
O: 0.2160 0.4038 0.0901  1 Si 1.66
O: 0.6353 0.6247 0.1652  1 Si 1.65
O: 0.6968 0.1108 0.1950  1 Si 1.66
O: 0.1968 0.6108 0.3050  1 Si 1.66
O: 0.1353 0.1247 0.3348  1 Si 1.65
O: 0.7160 0.9038 0.4099  1 Si 1.66
O: 0.6981 0.3346 0.4012  1 Si 1.66

=====

# 2
## LiCoC2O6 (PBE+U)

Data for a relaxed LiCoC2O6 crystal.

Its corrected total energy (MP2020 scheme) is -7.42 eV per atom. Its total energy is -6.84 eV per atom. The calculation puts the energy above the most stable polymorph in this dataset at 6.39 kJ/mol of atoms. The energy of formation comes out at -1.703 eV/atom.

Unit cell a=5.0028 b=5.0028 c=6.1401 alpha=67.95 beta=67.95 gamma=59.50
Closest atoms and distances in Å follow each position.
Fractional coordinates of all 10 atoms:
Li: 0.0000 0.0000 0.5000  4 O 2.06
Co: 0.0000 0.0000 0.0000  6 O 1.97-2.06
C: 0.5992 0.5992 0.2175  3 O 1.28-1.29
C: 0.4008 0.4008 0.7825  3 O 1.28-1.29
O: 0.2946 0.7461 0.2371  1 C 1.29
O: 0.2539 0.7054 0.7629  1 C 1.29
O: 0.7514 0.7514 0.2002  1 C 1.28
O: 0.2486 0.2486 0.7998  1 C 1.28
O: 0.7461 0.2946 0.2371  1 C 1.29
O: 0.7054 0.2539 0.7629  1 C 1.29

=====

# 3
## Li9Mn2Co5O16 (PBE+U)

Data for a relaxed Li9Mn2Co5O16 crystal.

Its corrected total energy (MP2020 scheme) is -6.50 eV per atom. Its total energy is -5.79 eV per atom. The calculation puts the energy above the most stable polymorph in this dataset at 6.02 kJ/mol of atoms. The energy of formation comes out at -1.802 eV/atom.

Unit cell a=5.8317 b=5.0681 c=9.8538 alpha=80.25 beta=90.00 gamma=90.00
Closest atoms and distances in Å follow each position.
Fractional coordinates of all 32 atoms:
Li: 0.0014 0.2476 0.2421  6 O 2.03-2.25
Li: 0.2431 0.2473 0.7594  6 O 2.06-2.22
Li: 0.5024 0.2527 0.2429  5 O 2.03-2.23
Li: 0.2431 0.7527 0.2406  6 O 2.06-2.22
Li: 0.5024 0.7473 0.7571  5 O 2.03-2.23
Li: 0.7524 0.7517 0.2417  6 O 2.16-2.17
Li: 0.7524 0.2483 0.7583  6 O 2.16-2.17
Li: 0.0014 0.7524 0.7579  6 O 2.03-2.25
Li: 0.0006 0.0000 0.0000  6 O 2.07-2.12
Mn: 0.9998 0.5000 0.5000  6 O 1.93-1.95
Mn: 0.2482 0.5000 0.0000  6 O 1.93-1.96
Co: 0.5002 0.5000 0.5000  6 O 1.98-2.04
Co: 0.7576 0.5000 0.0000  6 O 1.97-2.10
Co: 0.5009 0.0000 0.0000  6 O 1.93-2.05
Co: 0.7480 0.0000 0.5000  6 O 2.01-2.07
Co: 0.2520 0.0000 0.5000  6 O 2.03-2.04
O: 0.7595 0.3782 0.3871  1 Mn 1.95, 2 Co 2.03-2.05, 1 Li 2.17
O: 0.0105 0.3924 0.8852  1 Mn 1.93, 1 Co 1.99, 3 Li 2.03-2.12
O: 0.2370 0.3763 0.3897  1 Mn 1.93, 2 Co 2.03-2.04
~~~

# Outcome
# 1
## Li2MnSiO4 (PBE+U)

Data for a relaxed Li2MnSiO4 crystal.

Its corrected total energy (MP2020 scheme) is -7.45 eV per atom. Its total energy is -6.90 eV per atom. The value obtained for the piezoelectric modulus e_max is 0.2 C/m². The calculation puts the energy above the most stable polymorph in this dataset at 1.10 kJ/mol of atoms. The energy of formation comes out at -2.679 eV/atom.

Unit cell a=5.0745 b=6.3605 c=11.0576 alpha=90.00 beta=90.00 gamma=90.00
Closest atoms and distances in Å follow each position.
Fractional coordinates of all 32 atoms:
Li: 0.7055 0.8703 0.5950  4 O 1.92-2.06
Li: 0.1963 0.1171 0.6737  4 O 1.98-2.09
Li: 0.6963 0.6171 0.8263  4 O 1.98-2.09
Li: 0.2055 0.3703 0.9050  4 O 1.92-2.06
Li: 0.7945 0.8703 0.0950  4 O 1.92-2.06
Li: 0.3037 0.1171 0.1737  4 O 1.98-2.09
Li: 0.8037 0.6171 0.3263  4 O 1.98-2.09
Li: 0.2945 0.3703 0.4050  4 O 1.92-2.06
Mn: 0.7008 0.3626 0.5864  4 O 2.06-2.13
Mn: 0.2008 0.8626 0.9136  4 O 2.06-2.13
Mn: 0.7992 0.3626 0.0864  4 O 2.06-2.13
Mn: 0.2992 0.8626 0.4136  4 O 2.06-2.13
Si: 0.1903 0.6182 0.6645  4 O 1.65-1.66
Si: 0.6903 0.1182 0.8355  4 O 1.65-1.66
Si: 0.3097 0.6182 0.1645  4 O 1.65-1.66
Si: 0.8097 0.1182 0.3355  4 O 1.65-1.66
O: 0.3019 0.8346 0.5988  1 Si 1.66
O: 0.2840 0.4038 0.5901  1 Si 1.66
O: 0.8647 0.6247 0.6652  1 Si 1.65
O: 0.8032 0.1108 0.6950  1 Si 1.66
O: 0.3032 0.6108 0.8050  1 Si 1.66
O: 0.3647 0.1247 0.8348  1 Si 1.65
O: 0.7840 0.9038 0.9099  1 Si 1.66
O: 0.8019 0.3346 0.9012  1 Si 1.66
O: 0.1981 0.8346 0.0988  1 Si 1.66
O: 0.2160 0.4038 0.0901  1 Si 1.66
O: 0.6353 0.6247 0.1652  1 Si 1.65
O: 0.6968 0.1108 0.1950  1 Si 1.66
O: 0.1968 0.6108 0.3050  1 Si 1.66
O: 0.1353 0.1247 0.3348  1 Si 1.65
O: 0.7160 0.9038 0.4099  1 Si 1.66
O: 0.6981 0.3346 0.4012  1 Si 1.66

=====

# 2
## LiCoC2O6 (PBE+U)

Data for a relaxed LiCoC2O6 crystal.

Its corrected total energy (MP2020 scheme) is -7.42 eV per atom. Its total energy is -6.84 eV per atom. The calculation puts the energy above the most stable polymorph in this dataset at 6.39 kJ/mol of atoms. The energy of formation comes out at -1.703 eV/atom.

Unit cell a=5.0028 b=5.0028 c=6.1401 alpha=67.95 beta=67.95 gamma=59.50
Closest atoms and distances in Å follow each position.
Fractional coordinates of all 10 atoms:
Li: 0.0000 0.0000 0.5000  4 O 2.06
Co: 0.0000 0.0000 0.0000  6 O 1.97-2.06
C: 0.5992 0.5992 0.2175  3 O 1.28-1.29
C: 0.4008 0.4008 0.7825  3 O 1.28-1.29
O: 0.2946 0.7461 0.2371  1 C 1.29
O: 0.2539 0.7054 0.7629  1 C 1.29
O: 0.7514 0.7514 0.2002  1 C 1.28
O: 0.2486 0.2486 0.7998  1 C 1.28
O: 0.7461 0.2946 0.2371  1 C 1.29
O: 0.7054 0.2539 0.7629  1 C 1.29

=====

# 3
## Li9Mn2Co5O16 (PBE+U)

Data for a relaxed Li9Mn2Co5O16 crystal.

Its corrected total energy (MP2020 scheme) is -6.50 eV per atom. Its total energy is -5.79 eV per atom. The calculation puts the energy above the most stable polymorph in this dataset at 6.02 kJ/mol of atoms. The energy of formation comes out at -1.802 eV/atom.

Unit cell a=5.8317 b=5.0681 c=9.8538 alpha=80.25 beta=90.00 gamma=90.00
Closest atoms and distances in Å follow each position.
Fractional coordinates of all 32 atoms:
Li: 0.0014 0.2476 0.2421  6 O 2.03-2.25
Li: 0.2431 0.2473 0.7594  6 O 2.06-2.22
Li: 0.5024 0.2527 0.2429  5 O 2.03-2.23
Li: 0.2431 0.7527 0.2406  6 O 2.06-2.22
Li: 0.5024 0.7473 0.7571  5 O 2.03-2.23
Li: 0.7524 0.7517 0.2417  6 O 2.16-2.17
Li: 0.7524 0.2483 0.7583  6 O 2.16-2.17
Li: 0.0014 0.7524 0.7579  6 O 2.03-2.25
Li: 0.0006 0.0000 0.0000  6 O 2.07-2.12
Mn: 0.9998 0.5000 0.5000  6 O 1.93-1.95
Mn: 0.2482 0.5000 0.0000  6 O 1.93-1.96
Co: 0.5002 0.5000 0.5000  6 O 1.98-2.04
Co: 0.7576 0.5000 0.0000  6 O 1.97-2.10
Co: 0.5009 0.0000 0.0000  6 O 1.93-2.05
Co: 0.7480 0.0000 0.5000  6 O 2.01-2.07
Co: 0.2520 0.0000 0.5000  6 O 2.03-2.04
O: 0.7595 0.3782 0.3871  1 Mn 1.95, 2 Co 2.03-2.05, 1 Li 2.17
O: 0.0105 0.3924 0.8852  1 Mn 1.93, 1 Co 1.99, 3 Li 2.03-2.12
O: 0.2370 0.3763 0.3897  1 Mn 1.93, 2 Co 2.03-2.04